## Request
Next, restate only the lines further down with the word "of" in them.

## Given
=====
Entry from the Materials Project: crystalline Zn3P2 at its relaxed geometry (PBE).

```
Zn3P2
1.0
8.1207 0.0000 0.0000
0.0000 8.1207 0.0000
0.0000 0.0000 11.4666
Zn P
24 16
direct
0.0032 0.7500 0.1018
0.0330 0.2500 0.6352
0.0329 0.7500 0.6438
0.2500 0.0330 0.1352
0.2500 0.4670 0.1352
0.2500 0.5032 0.3982
0.2500 0.5329 0.8562
0.2500 0.9671 0.8562
0.2500 0.9968 0.3982
0.4670 0.2500 0.6352
0.4671 0.7500 0.6438
0.4968 0.7500 0.1018
0.5032 0.2500 0.8982
0.5329 0.2500 0.3562
0.5330 0.7500 0.3648
0.7500 0.0032 0.6018
0.7500 0.0329 0.1438
0.7500 0.4671 0.1438
0.7500 0.4968 0.6018
0.7500 0.5330 0.8648
0.7500 0.9670 0.8648
0.9671 0.2500 0.3562
0.9670 0.7500 0.3648
0.9968 0.2500 0.8982
0.0044 0.5044 0.2500
0.0044 0.9956 0.2500
0.2500 0.2500 0.4958
0.2500 0.2500 0.9958
0.2500 0.7500 0.5039
0.2500 0.7500 0.9961
0.4956 0.5044 0.2500
0.4956 0.9956 0.2500
0.5044 0.0044 0.7500
0.5044 0.4956 0.7500
0.7500 0.2500 0.0039
0.7500 0.2500 0.4961
0.7500 0.7500 0.0042
0.7500 0.7500 0.5042
0.9956 0.0044 0.7500
0.9956 0.4956 0.7500
```

Values from the calculation:
For the formation enthalpy at 0 K, the calculation gives -91 kJ/mol of formula units. Its energy above the lowest structure with this stoichiometry is 0.0000 eV/atom. The volume comes out at 18.9 Å³/atom.


1.
DFT (GGA-PBE) results for a relaxed TbCl3 crystal.

Cell lengths 6.8872, 6.8872, 8.5788 Å; angles 90.00, 90.00, 147.77 degrees
Sites, in units of the cell vectors:
Cl: 0.1583 0.8417 0.5684
Cl: 0.1583 0.8417 0.9316
Tb: 0.7594 0.2406 0.7500
Cl: 0.8417 0.1583 0.0684
Cl: 0.8417 0.1583 0.4316
Cl: 0.5996 0.4004 0.2500
Tb: 0.2406 0.7594 0.2500
Cl: 0.4004 0.5996 0.7500

Results
Formation energy: -2.720 eV per atom
SG: Cmcm
Raw total energy: -0.177 hartree per atom

---

2.
DFT (GGA-PBE) results for a relaxed Dy2Si2O7 crystal.

Cell lengths 6.6454, 6.6897, 18.2032 Å; angles 83.80, 88.42, 88.23 degrees
Sites, in units of the cell vectors:
O: 0.5131 0.3089 0.7194
O: 0.4723 0.0004 0.3862
O: 0.1316 0.7508 0.8074
Si: 0.9956 0.9577 0.7868
O: 0.2092 0.4003 0.6158
O: 0.2193 0.0805 0.9905
O: 0.1364 0.3799 0.4703
Si: 0.6623 0.4900 0.7402
O: 0.8566 0.4139 0.7889
O: 0.0887 0.9895 0.1267
O: 0.1740 0.9884 0.5315
O: 0.5062 0.3725 0.2152
O: 0.4842 0.6921 0.2784
O: 0.5652 0.0081 0.1276
Dy: 0.4480 0.9644 0.7384
O: 0.8076 0.9596 0.4654
Si: 0.3390 0.5110 0.2571
O: 0.4340 0.9916 0.8721
O: 0.1410 0.5849 0.2108
Dy: 0.4086 0.6103 0.4144
Dy: 0.8141 0.5319 0.2645
O: 0.5259 0.0037 0.6109
Dy: 0.8830 0.9004 0.6076
O: 0.8680 0.2503 0.1939
O: 0.8071 0.9402 0.7332
O: 0.8667 0.2392 0.5845
O: 0.9136 0.6225 0.5317
Si: 0.0421 0.3933 0.5528
O: 0.2735 0.3482 0.0874
O: 0.0816 0.6894 0.9641
O: 0.1174 0.7848 0.4050
O: 0.7537 0.6318 0.3897
Dy: 0.5544 0.3761 0.5879
O: 0.7806 0.9193 0.0096
Si: 0.1239 0.1840 0.0627
O: 0.7310 0.5996 0.6598
O: 0.7896 0.2223 0.3468
O: 0.5462 0.3049 0.9500
Si: 0.3647 0.1759 0.9192
O: 0.9186 0.3108 0.0359
Dy: 0.6166 0.3475 0.0968
O: 0.4969 0.6276 0.7841
Dy: 0.3846 0.6527 0.9032
O: 0.2207 0.3568 0.8756
Si: 0.6354 0.8234 0.0809
O: 0.1993 0.0634 0.2648
O: 0.7268 0.6520 0.9125
Dy: 0.1211 0.6531 0.0898
O: 0.5592 0.2977 0.4688
Si: 0.8762 0.8157 0.9377
Dy: 0.8781 0.3475 0.9103
Si: 0.3483 0.8634 0.5793
Si: 0.6522 0.1299 0.4186
O: 0.9092 0.0108 0.8735
O: 0.4542 0.6946 0.0500
Si: 0.0060 0.0441 0.2145
Dy: 0.5459 0.0305 0.2589
O: 0.2250 0.7828 0.6583
O: 0.1505 0.1288 0.7525
O: 0.2734 0.4005 0.3375
Dy: 0.1460 0.1234 0.4018
Si: 0.9014 0.7289 0.4435
O: 0.8505 0.8712 0.2478
Dy: 0.1843 0.4706 0.7379
O: 0.4550 0.6877 0.5328
O: 0.7792 0.6433 0.1248

Results
Formation energy: -3.662 eV per atom
SG: P1
Raw total energy: -0.301 hartree per atom


This record from the Materials Project describes crystalline Sr2CaCu2Bi2O9 at its relaxed geometry. The functional is GGA-PBE.

Values from the calculation:
**Total magnetic moment**: 0.002 μB per formula unit
**ΔH_f (0 K)**: -1888 meV per atom
**Density**: 6.3 Mg/m³
**Energy with MP2020 corrections**: -96.109 eV/cell

a = 3.6360 Å, b = 4.1759 Å, c = 15.9856 Å
=====

## Completed
For the formation enthalpy at 0 K, the calculation gives -91 kJ/mol of formula units. Its energy above the lowest structure with this stoichiometry is 0.0000 eV/atom. The volume comes out at 18.9 Å³/atom.
Sites, in units of the cell vectors:
Sites, in units of the cell vectors: